Novel Treatment of Excitotoxicity: Targeted Disruption of Intracellular Signalling From Glutamate Receptors
Glutamate receptor and excitotoxicity Types of Glutamate receptor
mGluRs G-protein-coupled membrane receptors Downregulate K + channel and upregulate non-selection cation channel Inhibit GABA receptor activity and potentiate iGluR function Mediate neuronal plasticity, nociception, pain and neurodegeneretion
iGluRs Ligand-gated ion channels, permeable to Na +, K + or Ca 2+ Mediate synaptic plasticity related to much of the toxicity induced by glutamate
AMPA receptors Permeable to Na+, K+ Also permeable to Ca2+ unless it contain GluR2 Loss of GluR2 implicated in delayed death of neurones in ischemia Structure of GluR2
NMDA receptors Highly permeable to Ca 2+ and Na + Calcium transients responsible for the physiologic effects of NMDAR signalling Calcium transients also trigger excitotoxic death
Kainate receptors Share many of the same structural characteristics as NMDA and AMPA receptors Until recently, little was known about the functional and physiological roles of kainate receptors in the mammalian CNS
Calcium and neurotoxicity Localised increases in [Ca 2+ ] i trigger physiological events Excessive Ca 2+ loading activates processes that lead to cell death Neurotoxicity mediated by glutamate receptors is largely calcium dependent
Calcium and neurotoxicity Calcium load hypothesis Neurodegeneration is simply a function of the quantity of entering the cell Neurodegeneration is simply a function of the quantity of entering the cell However, some studies show that the calcium channel blockers can prevent Ca 2+ accumulation but not neurotoxicity during anoxia However, some studies show that the calcium channel blockers can prevent Ca 2+ accumulation but not neurotoxicity during anoxia
Calcium and neurotoxicity Source specific hypothesis Ca 2+ toxicity occurs not simply as a function of increased Ca 2+ concentration, but is instead linked to the route of Ca 2+ entry and the distinct second messenger pathways that are activated as a result. Ca 2+ toxicity occurs not simply as a function of increased Ca 2+ concentration, but is instead linked to the route of Ca 2+ entry and the distinct second messenger pathways that are activated as a result. Showing that Ca 2+ loads produced by voltage- sensitive Ca 2+ channels were not harmful whereas similar [Ca 2+ ] i increases via NMDARs were toxic Showing that Ca 2+ loads produced by voltage- sensitive Ca 2+ channels were not harmful whereas similar [Ca 2+ ] i increases via NMDARs were toxic
## Here the entry breaks off for calculated molecules
+++
C3H4ClP | wB97M-V/def2-TZVPD

Each line ends with the Mulliken charge.
Positions of all 9 atoms, in Å:
1 C 0.61 0.83 0.96  -0.198
2 C -0.03 0.50 -0.04  -0.145
3 C -0.98 0.15 -1.10  -0.883
4 P 1.88 1.16 -4.77  0.099
5 Cl 2.28 2.75 -3.71  -0.098
6 H 1.07 0.86 1.87  0.440
7 H -0.63 -0.74 -1.63  0.282
8 H -1.05 1.00 -1.83  0.254
9 H -1.84 -0.32 -0.54  0.250

Results
Relative energy (zero: lowest compared OMol25 entry of this formula, charge and spin) = 61.67 kcal/mol
LUMO level (alpha / beta) = -1.30 / -1.30 eV
HOMO (alpha / beta) = -0.305 / -0.306 Eh
DFT total energy = -918.10568 hartree

~~~~~

128
Properties=species:S:1:pos:R:3:forces:R:3 method="wB97M-V/def2-TZVPD" energy_ev=-184068.4692 mol_weight_g_mol=1292.524 homo_energy_ha=-0.2655 orbital_gap_ev=7.302 lumo_energy_ev=0.08 de_lowest_kj_mol=25.3
Rb 0.43300 0.03409 -0.56557 0.491 -1.231 1.405
C -1.02790 7.15901 -3.05742 -0.014 0.011 -0.034
C -1.70795 7.12070 -1.69748 0.036 -0.097 0.082
C -3.12931 7.65046 -1.78854 -0.033 -0.035 -0.053
C -3.76669 7.68906 -0.41295 0.008 -0.009 0.020
C -3.68944 6.33308 0.23387 0.020 -0.007 0.004
C -4.60619 5.95867 1.18715 -0.020 0.024 0.004
C -4.53502 4.70007 1.77676 -0.034 0.029 0.009
F -5.45434 4.38327 2.70991 -0.004 -0.005 0.006
C -3.57747 3.79783 1.42964 0.014 -0.034 0.012
C -2.63365 4.15219 0.45544 0.025 0.012 -0.003
C -1.60790 3.17080 0.08818 0.009 -0.125 0.041
O -1.59248 2.03002 0.58505 0.106 0.086 -0.036
C -0.66067 3.61716 -0.88786 -0.037 0.129 -0.003
C -0.77623 4.85100 -1.43174 0.032 0.025 -0.007
N -1.73620 5.75576 -1.11275 -0.092 0.012 0.033
C -2.67959 5.41887 -0.14446 0.058 0.085 -0.085
C 0.42955 2.66242 -1.32656 0.018 0.403 -0.183
O 1.38079 2.49074 -0.53983 -0.006 0.441 -0.073
O 0.22567 2.05222 -2.40945 0.022 0.128 0.088
H -1.19749 8.14375 -3.49242 0.015 -0.004 -0.006
H -1.45137 6.41099 -3.73018 -0.008 0.014 0.009
H 0.04950 7.01212 -3.00580 -0.010 0.001 0.011
H -1.14997 7.76045 -1.00389 0.012 0.007 0.007
H -3.70463 7.00438 -2.45915 -0.003 0.019 0.002
H -3.10202 8.64624 -2.23150 -0.005 0.006 0.008
H -4.80713 8.01028 -0.46856 -0.004 -0.005 -0.008
H -3.24263 8.42366 0.20689 -0.001 0.000 0.008
H -5.39562 6.63857 1.48389 0.007 -0.016 0.004
H -3.52410 2.82102 1.88952 0.005 -0.005 -0.011
H -0.06963 5.16647 -2.18370 -0.007 -0.025 0.005
O -0.93715 -0.16223 2.33877 0.075 0.054 -0.012
H -1.44485 0.61289 2.05271 0.008 -0.036 -0.071
H -0.01583 0.12803 2.24247 0.197 0.013 0.201
O 0.12445 -2.69744 1.21858 0.240 0.017 0.124
H 0.03685 -3.61665 1.48851 -0.046 0.012 0.018
H -0.34412 -2.17481 1.88775 -0.095 0.066 -0.093
O -0.80179 -0.47072 -2.77355 -0.143 0.028 -0.653
H -0.44043 0.43550 -2.67144 -0.238 0.199 -0.809
H -1.69116 -0.32991 -3.11003 -0.007 -0.068 -0.002
Br 5.67400 -3.56245 -2.60583 -0.012 -0.005 0.033
C 4.21600 -3.12015 -3.72152 -0.001 0.045 -0.048
C 4.44847 -3.04414 -5.08836 -0.011 0.029 -0.025
C 3.42041 -2.69425 -5.94842 0.041 0.026 0.001
C 2.16029 -2.40726 -5.44645 -0.016 0.011 0.038
C 1.92244 -2.48589 -4.08313 0.020 -0.028 -0.082
+++
## Here the entry continues
Postsynaptic organisation Postsynaptic density (PSD) PSD PSD is a multiprotein complex containing membrane proteins, signaling molecules and core PSD proteins
+++
Record 1
Computed, not measured: a cluster of 2 separate species, C4H7NOS in total, with ωB97M-V with the def2-TZVPD basis set.

Each line ends with the natural charge from an NBO analysis.
Positions of all 14 atoms, in Å:
C: 1.23 0.99 -0.12  0.031
C: 0.16 -1.74 0.64  -0.432
C: -1.06 -0.91 0.26  -0.489
C: 0.06 -0.97 -0.65  -0.112
N: 0.46 2.02 -0.18  -0.333
O: -0.76 2.02 -0.86  -0.559
S: 2.74 1.01 0.49  -0.141
H: 0.76 -1.40 1.40  0.238
H: -0.03 -2.81 0.68  0.223
H: -2.00 -1.44 0.02  0.223
H: -1.31 0.02 0.76  0.219
H: 0.33 -1.01 -1.68  0.239
H: 0.59 3.05 0.03  0.413
H: -1.18 1.18 -0.81  0.480

Computed properties:
Gap between HOMO and LUMO (spin up / spin down) (eV): 7.57 / 7.58
LUMO level (spin up / spin down) (eV): -0.257 / -0.255
HOMO (spin up / spin down) (eV): -7.83 / -7.83
Energy above the lowest of the compared OMol25 structures with the same formula, charge and spin (eV): 6.253


Record 2
Computed, not measured: an isolated molecule of C4H8O3, with ωB97M-V with the def2-TZVPD basis set.

Each line ends with the natural charge from an NBO analysis.
Positions of all 15 atoms, in Å:
C: 2.57 -0.03 0.55  -0.262
O: 1.19 0.33 0.64  -0.518
C: 0.32 -0.53 0.07  0.779
O: 0.64 -1.47 -0.61  -0.580
C: -1.14 -0.07 0.40  -0.017
C: -1.43 0.71 -0.84  -0.557
O: -2.15 -1.03 0.41  -0.678
H: 2.73 -1.01 1.03  0.195
H: 3.12 0.74 1.09  0.197
H: 2.90 -0.09 -0.49  0.196
H: -1.08 0.53 1.33  0.184
H: -0.87 1.67 -0.88  0.233
H: -2.71 0.65 -0.84  0.145
H: -1.21 0.09 -1.71  0.232
H: -2.88 -0.48 -0.15  0.451

Computed properties:
Gap between HOMO and LUMO (eV): 11.03
LUMO level (eV): 0.775
HOMO (eV): -10.26
Energy above the lowest of the compared OMol25 structures with the same formula, charge and spin (eV): 2.500
+++
Postsynaptic organisation Membrane receptors and proteins mGluRs, iGluRs mGluRs, iGluRs Cell junction protein Cell junction protein
Postsynaptic organisation Enzymes and modulators Src-kinase, CaMKII, PKC, phosphatase calcineurin nNOS, SPAR, SynGAP
Postsynaptic organisation Cytoskeletal and scaffolding proteins actin, fodrin, tubulin and neurofilaments actin, fodrin, tubulin and neurofilaments Spectrin, -actinin-2, AKAP 79 and PDZ-containing protein Spectrin, -actinin-2, AKAP 79 and PDZ-containing protein
Neurotoxic signalling by glutamate receptors within the PSD Neurotoxic effects of AMPAR signalling GluR2 hypothesis GluR2 hypothesis
Neurotoxic signalling by glutamate receptors within the PSD Neurotoxic effects of NMDAR signalling Role of PSD-95 Role of PSD-95
Molecular data, as found in the file.
-- begin --
Record 1
A molecular structure, C5H10MnO2, computed with ωB97M-V/def2-TZVPD.

Gap between HOMO and LUMO (alpha / beta), eV: 7.24 / 6.20
Expectation value of S²: 12.04
Net charge: +1
Multiplicity: 7

Each line ends with the Mulliken charge.
Atoms and positions in Å:
C  -2.21395  -1.80239  -1.25201  0.278
H  -3.90171  -2.79237  -2.26986  0.346
H  -1.91687  0.06897  -1.45244  0.132
H  0.65986  -0.05700  -1.99200  0.274
H  -2.35761  0.83814  1.90406  0.257
H  -1.96080  2.59905  1.54679  0.278
C  -3.18646  -2.86615  -1.44912  -0.855
C  -0.77102  1.03928  -0.81457  0.143
C  -2.12292  1.59193  1.14289  -0.681
C  0.54530  0.45888  -1.03048  -1.007
H  -2.86739  -3.87102  -1.15788  0.317
O  -0.89612  1.17566  0.57218  -0.287
H  -2.96543  1.61793  0.43799  0.349
H  -1.75492  -1.56819  -2.23556  0.361
Mn  0.03162  -1.06638  0.42483  0.928
H  1.41553  1.01707  -0.66567  0.312
H  -1.12538  1.90105  -1.38664  0.453
O  -1.39706  -2.05127  -0.24972  -0.597

Record 2
A gas-phase ion, C5H10N (charge +1), computed with ωB97M-V/def2-TZVPD.

Gap between HOMO and LUMO, eV: 10.78
Structure (SMILES): C=C1C[NH2+][C@@H]1C
Net charge: +1

Each line ends with the Mulliken charge.
Atoms and positions in Å:
H  -1.00286  1.65868  -1.17686  0.342
C  2.06736  -0.72274  -0.07561  -0.878
H  -0.72378  -0.57702  -1.42561  0.415
C  -1.26527  -1.33107  0.32371  -1.233
H  -0.95109  -2.28262  -0.25805  0.336
H  -2.27902  -1.11244  0.21677  0.414
H  0.66563  1.41608  1.48425  0.290
C  0.96960  -0.00326  -0.02089  0.455
H  -1.01008  -1.22309  1.32274  0.373
H  1.94559  -1.73575  -0.28420  0.288
C  0.52792  1.44280  0.34999  -0.621
H  2.96231  -0.18112  0.12322  0.286
C  -0.51262  -0.25687  -0.45601  -0.147
N  -0.82009  1.24722  -0.28333  -0.056
H  0.98622  2.19735  -0.21086  0.411
H  -1.55983  1.46384  0.37071  0.326

Record 3
2 unconnected molecules or ions with the total composition C5H10N, computed with ωB97M-V/def2-TZVPD.

Gap between HOMO and LUMO, eV: 7.92
Net charge: +1

Each line ends with the Mulliken charge.
Atoms and positions in Å:
H  -1.59067  -0.39930  1.84865  0.430
H  0.59712  0.22109  2.13120  0.137
C  -1.87108  0.31877  1.13062  -1.214
C  1.39320  0.10629  1.36987  -0.269
H  -0.64070  -0.44255  -2.08386  0.113
C  -1.53954  -0.24301  -1.48078  -0.485
H  -1.34623  1.16244  1.55976  0.385
C  1.89359  -0.21817  -0.96634  -0.720
C  -1.55475  -0.11107  -0.22254  0.925
H  2.51312  0.14519  1.68768  0.277
H  1.21522  -0.58959  -1.78467  0.117
H  -2.86563  0.51896  1.06040  0.364
H  2.28372  0.69121  -1.39261  0.339
H  2.61291  -1.05631  -0.71985  0.382
N  1.12343  -0.01785  0.17207  -0.091
H  -2.22370  -0.08608  -2.30962  0.311

Record 4
2 unconnected molecules or ions with the total composition C5H10N, computed with ωB97M-V/def2-TZVPD.

Gap between HOMO and LUMO (alpha / beta), eV: 8.15 / 8.15
Net charge: +1

Each line ends with the Mulliken charge.
Atoms and positions in Å:
H  0.77481  -2.09499  -1.25158  0.300
C  -2.34805  0.78879  0.50068  -0.947
-- stop --
Targeting intracellular signal pathways Strategies for treating excitotoxic damage oNMDAR and AMPAR blockers? oParticular receptor subunits antagonists oLow affinity blockers oTargeting the specific intracellular signal pathways and uncoupling glutamate receptors from their potentially neurotoxic downstream effectors
Future directions Limitations of the use of peptides and small proteins Protein tranduction domains oCross cell membranes independent of specific receptors or transporters oEnsure efficient delivery of attatched proteins into cells and across the BBB oParticularly suited to the narrow therapeutic window offered during stroke